Entries >
'''
No. 1
Theoretical XRD peak list of PmMg3 for Cu Kα, 1.54184 Å, from a crystal structure in the Materials Project, relaxed with GGA-PBE.
Kinematic intensities with the Lorentz-polarization factor, no thermal factor.

Crystal structure
Unit cell a=7.392 b=7.392 c=7.392 alpha=90.00 beta=90.00 gamma=90.00
Sites, in units of the cell vectors:
Pm 0.000 0.000 0.000
Pm 0.000 0.500 0.500
Pm 0.500 0.000 0.500
Pm 0.500 0.500 0.000
Mg 0.000 0.000 0.500
Mg 0.000 0.500 0.000
Mg 0.250 0.250 0.250
Mg 0.250 0.250 0.750
Mg 0.250 0.750 0.250
Mg 0.250 0.750 0.750
Mg 0.500 0.000 0.000
Mg 0.500 0.500 0.500
Mg 0.750 0.250 0.250
Mg 0.750 0.250 0.750
Mg 0.750 0.750 0.250
Mg 0.750 0.750 0.750

Top 10 peaks for 2θ from 10° to 80°, by intensity:
d/Å	two_theta	I/Imax
2.613	34.31	100
4.268	20.81	68
2.229	40.47	37
1.509	61.45	36
3.696	24.08	36
1.848	49.31	18
1.696	54.08	16
1.653	55.60	15
1.423	65.63	12
1.249	76.19	12


No. 2
Theoretical XRD peak list of PmMg3 for Cu Kα, 1.54184 Å, from a crystal structure in the Materials Project, relaxed with GGA-PBE.
Kinematic intensities with the Lorentz-polarization factor, no thermal factor.

Crystal structure
Unit cell a=6.780 b=6.780 c=5.212 alpha=90.00 beta=90.00 gamma=120.00
Sites, in units of the cell vectors:
Pm 0.333 0.667 0.250
Pm 0.667 0.333 0.750
Mg 0.162 0.324 0.750
Mg 0.162 0.838 0.750
Mg 0.324 0.162 0.250
Mg 0.676 0.838 0.750
Mg 0.838 0.162 0.250
Mg 0.838 0.676 0.250

Top 10 peaks for 2θ from 10° to 80°, by intensity:
d/Å	two_theta	I/Imax
2.558	35.08	100
3.898	22.82	90
3.390	26.29	41
5.871	15.09	34
2.042	44.37	29
2.936	30.45	24
2.606	34.42	23
2.066	43.82	21
1.421	65.72	21
1.695	54.11	19


No. 3
Theoretical XRD peak list of Pm2Mg for Cu Kα, 1.54184 Å, from a crystal structure in the Materials Project, relaxed with GGA-PBE.
Kinematic intensities with the Lorentz-polarization factor, no thermal factor.

Crystal structure
Unit cell a=3.796 b=17.524 c=5.595 alpha=90.00 beta=90.00 gamma=90.00
Sites, in units of the cell vectors:
Pm 0.000 0.089 0.250
Pm 0.000 0.228 0.750
Pm 0.000 0.772 0.250
Pm 0.000 0.911 0.750
Pm 0.500 0.272 0.250
Pm 0.500 0.411 0.750
Pm 0.500 0.589 0.250
Pm 0.500 0.728 0.750
Mg 0.000 0.433 0.250
Mg 0.000 0.567 0.750
Mg 0.500 0.067 0.750
Mg 0.500 0.933 0.250

Top 10 peaks for 2θ from 10° to 80°, by intensity:
d/Å	two_theta	I/Imax
2.767	32.36	100
2.798	31.99	28
3.449	25.83	27
2.921	30.61	22
1.609	57.25	20
3.710	23.99	17
1.674	54.86	16
2.020	44.86	15
8.762	10.10	14
1.571	58.78	12


No. 4
Theoretical XRD peak list of Pm3Mg for Cu Kα, 1.54184 Å, from a crystal structure in the Materials Project, relaxed with GGA-PBE.
Kinematic intensities with the Lorentz-polarization factor, no thermal factor.

Crystal structure
Unit cell a=5.008 b=5.008 c=10.013 alpha=90.00 beta=90.00 gamma=90.00
Sites, in units of the cell vectors:
Pm 0.000 0.000 0.000
Pm 0.000 0.500 0.250
Pm 0.000 0.500 0.750
Pm 0.500 0.000 0.250
Pm 0.500 0.000 0.750
Pm 0.500 0.500 0.500
Mg 0.000 0.000 0.500
Mg 0.500 0.500 0.000

Top 10 peaks for 2θ from 10° to 80°, by intensity:
d/Å	two_theta	I/Imax
2.891	30.93	100
2.504	35.87	50
1.510	61.41	42
1.770	51.63	36
4.479	19.82	20
1.445	64.46	12
5.006	17.72	6
2.185	41.31	6
2.777	32.23	6
1.860	48.98	6


No. 5
Theoretical XRD peak list of Pm2Mg for Cu Kα, 1.54184 Å, from a crystal structure in the Materials Project, relaxed with GGA-PBE.
Kinematic intensities with the Lorentz-polarization factor, no thermal factor.

Crystal structure
Unit cell a=3.817 b=3.817 c=12.759 alpha=90.00 beta=90.00 gamma=90.00
Sites, in units of the cell vectors:
Pm 0.000 0.000 0.157
Pm 0.000 0.000 0.843
Pm 0.500 0.500 0.343
Pm 0.500 0.500 0.657
Mg 0.000 0.000 0.500
Mg 0.500 0.500 0.000

Top 10 peaks for 2θ from 10° to 80°, by intensity:
d/Å	two_theta	I/Imax
2.840	31.50	100
2.699	33.20	45
3.656	24.34	36
1.584	58.25	35
1.670	54.98	19
1.908	47.66	16
6.379	13.88	14
2.060	43.95	13
1.420	65.75	11
3.190	27.97	11


No. 6
'''

Assignment >
Reproduce the whole of the rows further up verbatim.

Written answer >
No. 1
Theoretical XRD peak list of PmMg3 for Cu Kα, 1.54184 Å, from a crystal structure in the Materials Project, relaxed with GGA-PBE.
Kinematic intensities with the Lorentz-polarization factor, no thermal factor.

Crystal structure
Unit cell a=7.392 b=7.392 c=7.392 alpha=90.00 beta=90.00 gamma=90.00
Sites, in units of the cell vectors:
Pm 0.000 0.000 0.000
Pm 0.000 0.500 0.500
Pm 0.500 0.000 0.500
Pm 0.500 0.500 0.000
Mg 0.000 0.000 0.500
Mg 0.000 0.500 0.000
Mg 0.250 0.250 0.250
Mg 0.250 0.250 0.750
Mg 0.250 0.750 0.250
Mg 0.250 0.750 0.750
Mg 0.500 0.000 0.000
Mg 0.500 0.500 0.500
Mg 0.750 0.250 0.250
Mg 0.750 0.250 0.750
Mg 0.750 0.750 0.250
Mg 0.750 0.750 0.750

Top 10 peaks for 2θ from 10° to 80°, by intensity:
d/Å	two_theta	I/Imax
2.613	34.31	100
4.268	20.81	68
2.229	40.47	37
1.509	61.45	36
3.696	24.08	36
1.848	49.31	18
1.696	54.08	16
1.653	55.60	15
1.423	65.63	12
1.249	76.19	12


No. 2
Theoretical XRD peak list of PmMg3 for Cu Kα, 1.54184 Å, from a crystal structure in the Materials Project, relaxed with GGA-PBE.
Kinematic intensities with the Lorentz-polarization factor, no thermal factor.

Crystal structure
Unit cell a=6.780 b=6.780 c=5.212 alpha=90.00 beta=90.00 gamma=120.00
Sites, in units of the cell vectors:
Pm 0.333 0.667 0.250
Pm 0.667 0.333 0.750
Mg 0.162 0.324 0.750
Mg 0.162 0.838 0.750
Mg 0.324 0.162 0.250
Mg 0.676 0.838 0.750
Mg 0.838 0.162 0.250
Mg 0.838 0.676 0.250

Top 10 peaks for 2θ from 10° to 80°, by intensity:
d/Å	two_theta	I/Imax
2.558	35.08	100
3.898	22.82	90
3.390	26.29	41
5.871	15.09	34
2.042	44.37	29
2.936	30.45	24
2.606	34.42	23
2.066	43.82	21
1.421	65.72	21
1.695	54.11	19


No. 3
Theoretical XRD peak list of Pm2Mg for Cu Kα, 1.54184 Å, from a crystal structure in the Materials Project, relaxed with GGA-PBE.
Kinematic intensities with the Lorentz-polarization factor, no thermal factor.

Crystal structure
Unit cell a=3.796 b=17.524 c=5.595 alpha=90.00 beta=90.00 gamma=90.00
Sites, in units of the cell vectors:
Pm 0.000 0.089 0.250
Pm 0.000 0.228 0.750
Pm 0.000 0.772 0.250
Pm 0.000 0.911 0.750
Pm 0.500 0.272 0.250
Pm 0.500 0.411 0.750
Pm 0.500 0.589 0.250
Pm 0.500 0.728 0.750
Mg 0.000 0.433 0.250
Mg 0.000 0.567 0.750
Mg 0.500 0.067 0.750
Mg 0.500 0.933 0.250

Top 10 peaks for 2θ from 10° to 80°, by intensity:
d/Å	two_theta	I/Imax
2.767	32.36	100
2.798	31.99	28
3.449	25.83	27
2.921	30.61	22
1.609	57.25	20
3.710	23.99	17
1.674	54.86	16
2.020	44.86	15
8.762	10.10	14
1.571	58.78	12


No. 4
Theoretical XRD peak list of Pm3Mg for Cu Kα, 1.54184 Å, from a crystal structure in the Materials Project, relaxed with GGA-PBE.
Kinematic intensities with the Lorentz-polarization factor, no thermal factor.

Crystal structure
Unit cell a=5.008 b=5.008 c=10.013 alpha=90.00 beta=90.00 gamma=90.00
Sites, in units of the cell vectors:
Pm 0.000 0.000 0.000
Pm 0.000 0.500 0.250
Pm 0.000 0.500 0.750
Pm 0.500 0.000 0.250
Pm 0.500 0.000 0.750
Pm 0.500 0.500 0.500
Mg 0.000 0.000 0.500
Mg 0.500 0.500 0.000

Top 10 peaks for 2θ from 10° to 80°, by intensity:
d/Å	two_theta	I/Imax
2.891	30.93	100
2.504	35.87	50
1.510	61.41	42
1.770	51.63	36
4.479	19.82	20
1.445	64.46	12
5.006	17.72	6
2.185	41.31	6
2.777	32.23	6
1.860	48.98	6


No. 5
Theoretical XRD peak list of Pm2Mg for Cu Kα, 1.54184 Å, from a crystal structure in the Materials Project, relaxed with GGA-PBE.
Kinematic intensities with the Lorentz-polarization factor, no thermal factor.

Crystal structure
Unit cell a=3.817 b=3.817 c=12.759 alpha=90.00 beta=90.00 gamma=90.00
Sites, in units of the cell vectors:
Pm 0.000 0.000 0.157
Pm 0.000 0.000 0.843
Pm 0.500 0.500 0.343
Pm 0.500 0.500 0.657
Mg 0.000 0.000 0.500
Mg 0.500 0.500 0.000

Top 10 peaks for 2θ from 10° to 80°, by intensity:
d/Å	two_theta	I/Imax
2.840	31.50	100
2.699	33.20	45
3.656	24.34	36
1.584	58.25	35
1.670	54.98	19
1.908	47.66	16
6.379	13.88	14
2.060	43.95	13
1.420	65.75	11
3.190	27.97	11


No. 6